To do:
Count the lines below that contain the word "Cl1" and give the number alone.
Entries:
/*
Record 1
KMnCl3O2 | GGA+U | optimized geometry

Summary:
Its energy of formation is -0.982 eV/atom. The calculation puts the offset from the most stable computed form at 0.0 meV per atom. The energy with MP2020 corrections is -65.17 eV/cell. For the size of the total moment, the calculation gives 1.0 μB per formula unit.

Geometry as CIF:
```
data_KMnCl3O2
_chemical_formula_sum 'K2 Mn2 Cl6 O4'
_space_group_name_H-M_alt 'P -1'
_space_group_IT_number 2
_cell_length_a 6.7969
_cell_length_b 6.8836
_cell_length_c 9.5537
_cell_angle_alpha 75.70
_cell_angle_beta 76.61
_cell_angle_gamma 67.41
loop_
_space_group_symop_operation_xyz
'x,y,z'
'-x,-y,-z'
loop_
_atom_site_label
_atom_site_fract_x
_atom_site_fract_y
_atom_site_fract_z
K1 0.0545 0.3236 0.2928
Mn1 0.4019 0.7405 0.1979
Cl1 0.0538 0.7887 0.3458
Cl2 0.2592 0.3219 0.9342
Cl3 0.4885 0.5859 0.6786
O1 0.2899 0.7788 0.0586
O2 0.4111 0.9356 0.2592
```


Record 2
Sr3Fe2O6 | GGA+U | optimized geometry

Summary:
Its energy of formation is -2.516 eV/atom. The energy with MP2020 corrections is -158.74 eV/cell.

Geometry as CIF:
```
data_Sr3Fe2O6
_chemical_formula_sum 'Sr6 Fe4 O12'
_space_group_name_H-M_alt 'I 4/m m m'
_space_group_IT_number 139
_space_group_name_Hall '-I 4 2'
_cell_length_a 3.9584
_cell_length_b 3.9584
_cell_length_c 20.1757
_cell_angle_alpha 90.00
_cell_angle_beta 90.00
_cell_angle_gamma 90.00
loop_
_atom_site_label
_atom_site_fract_x
_atom_site_fract_y
_atom_site_fract_z
Sr1 0.0000 0.0000 0.0000
Sr2 0.0000 0.0000 0.1804
Fe1 0.0000 0.0000 0.3973
O1 0.0000 0.0000 0.3029
O2 0.0000 0.5000 0.0845
```


Record 3
Li3Mn4B4O12 | GGA+U | optimized geometry

Summary:
Its energy of formation is -2.469 eV/atom. The calculation puts the offset from the most stable computed form at 3.9 meV per atom. The energy with MP2020 corrections is -370.50 eV/cell. For the size of the total moment, the calculation gives 19.0 μB per formula unit.

Geometry as CIF:
```
data_Li3Mn4B4O12
_chemical_formula_sum 'Li6 Mn8 B8 O24'
_space_group_name_H-M_alt 'P -1'
_space_group_IT_number 2
_cell_length_a 6.1930
_cell_length_b 7.8563
_cell_length_c 10.5541
_cell_angle_alpha 87.45
_cell_angle_beta 87.92
_cell_angle_gamma 79.36
loop_
_space_group_symop_operation_xyz
'x,y,z'
'-x,-y,-z'
loop_
_atom_site_label
_atom_site_fract_x
_atom_site_fract_y
_atom_site_fract_z
Li1 0.1240 0.1905 0.4618
Li2 0.1408 0.2012 0.9581
Li3 0.3698 0.3112 0.2833
Mn1 0.0625 0.6895 0.2910
Mn2 0.0917 0.6629 0.7920
Mn3 0.4182 0.8181 0.9688
Mn4 0.4270 0.8224 0.4513
B1 0.2207 0.4976 0.5324
B2 0.2319 0.5108 0.0442
B3 0.2428 0.0018 0.2099
B4 0.2628 0.9874 0.7119
O1 0.1504 0.4687 0.6580
O2 0.1508 0.1164 0.7865
O3 0.1525 0.6735 0.9863
O4 0.1583 0.1393 0.2845
O5 0.1626 0.6665 0.4800
O6 0.1913 0.4895 0.1748
O7 0.2909 0.8334 0.2683
O8 0.2982 0.0258 0.0831
O9 0.3023 0.0201 0.5827
O10 0.3304 0.3762 0.9734
O11 0.3329 0.3655 0.4627
O12 0.3431 0.8243 0.7678
```


Record 4
SrTiFe4Bi4O15 | GGA+U | optimized geometry

Summary:
Its energy of formation is -1.985 eV/atom. The energy with MP2020 corrections is -365.75 eV/cell. For the size of the total moment, the calculation gives 20.0 μB per formula unit.

Geometry as CIF:
```
data_SrTiFe4Bi4O15
_chemical_formula_sum 'Sr2 Ti2 Fe8 Bi8 O30'
_space_group_name_H-M_alt 'C 1 m 1'
_space_group_IT_number 8
_cell_length_a 5.7620
_cell_length_b 28.2996
_cell_length_c 4.0714
_cell_angle_alpha 90.00
_cell_angle_beta 91.62
_cell_angle_gamma 90.00
loop_
_space_group_symop_operation_xyz
'x,y,z'
'x,-y,z'
'x+1/2,y+1/2,z'
'x+1/2,-y+1/2,z'
loop_
_atom_site_label
_atom_site_fract_x
_atom_site_fract_y
_atom_site_fract_z
Sr1 0.0000 0.0000 0.0000
Ti1 0.4724 0.0000 0.4966
Fe1 0.0017 0.0978 0.5194
Fe2 0.4952 0.1999 0.5161
Bi1 0.0648 0.4002 0.9355
Bi2 0.0666 0.1993 0.9441
O1 0.2073 0.1527 0.5642
O2 0.2075 0.3540 0.5576
O3 0.2124 0.2474 0.5686
O4 0.2190 0.4503 0.5714
O5 0.2303 0.0476 0.5471
O6 0.4463 0.4014 0.0387
O7 0.4470 0.1987 0.0376
O8 0.4890 0.0000 0.0523
```


Record 5
FeH2SO5 | GGA+U | optimized geometry

Summary:
*/
Done:
1